AGS | War Thunder Wiki
Introduced during Update "Winged Lions" as a reward for the 2021 Operation W.I.N.T.E.R. event, the AGS presents a unique platform for American operators with its unmanned turret on top. The sheer small size of the turret sticking on top of the hull makes this vehicle extremely survivable in a hull-down position as enemies would struggle to ...
Gaijin Market
Attached: quantum chemistry results =
-- begin --
# 1
# C4H9NO

An isolated molecule of C4H9NO in a non-equilibrium geometry (ωB97M-V with the def2-TZVPD basis set, OMol25).

E_HOMO = -9.33 eV
SMILES = CCN(C)C=O
Gap between HOMO and LUMO = 10.198 eV
LUMO energy = 0.873 eV
F_max = 1.25 eV Å⁻¹

The geometry in ORCA input format:
```
! wB97M-V def2-TZVPD RIJCOSX def2/J DEFGRID3
* xyz 0 1
C 1.061 -1.000 -1.085
C -0.094 -0.005 -0.996
N -0.495 0.251 0.377
C 0.373 1.082 1.184
C -1.709 -0.149 0.808
O -2.425 -0.953 0.250
H 0.857 -1.913 -0.530
H 1.211 -1.359 -2.110
H 2.032 -0.563 -0.835
H 0.222 0.918 -1.479
H -0.917 -0.483 -1.510
H 0.657 0.584 2.116
H 1.310 1.232 0.659
H -0.049 2.072 1.381
H -2.034 0.285 1.769
*
```

Partial charges, natural (NBO), in e: number 1, C, carries -0.62; number 2, C, carries -0.22; number 3, N, carries -0.45; number 4, C, carries -0.41; number 5, C, carries 0.54; number 6, O, carries -0.62; number 7, H, carries 0.22; number 8, H, carries 0.22; number 9, H, carries 0.20; number 10, H, carries 0.19; number 11, H, carries 0.24; number 12, H, carries 0.21; number 13, H, carries 0.21; number 14, H, carries 0.20; number 15, H, carries 0.11

---

# 2
# C38H30N8O3Y

A structure of composition C38H30N8O3Y in a non-equilibrium geometry (ωB97M-V with the def2-TZVPD basis set, OMol25).

E_HOMO = -9.30 eV
Gap between HOMO and LUMO = 5.513 eV
LUMO energy = -3.791 eV
F_max = 4.58 eV Å⁻¹

The geometry in ORCA input format:
```
! wB97M-V def2-TZVPD RIJCOSX def2/J DEFGRID3
* xyz 1 1
Y 0.210 0.092 0.057
C -6.050 -1.578 0.047
C -6.235 -0.299 0.625
C -5.177 0.412 1.129
C -3.891 -0.145 1.042
C -2.602 0.366 1.347
N -1.662 -0.558 0.967
C -2.318 -1.636 0.497
N -1.552 -2.737 -0.114
C -0.168 -2.887 0.367
C 0.447 -3.963 1.008
C -0.012 -5.135 1.648
C 0.914 -5.952 2.235
C 2.298 -5.652 2.200
C 2.772 -4.525 1.583
C 1.849 -3.662 0.965
C 1.981 -2.414 0.315
N 3.126 -1.746 -0.049
C 3.177 -0.462 -0.073
N 2.247 0.393 0.531
C 2.668 1.675 0.408
N 2.125 2.724 1.005
C 0.925 2.690 1.583
N -0.057 1.814 1.282
C -1.211 2.151 1.997
N -2.352 1.562 1.954
C -0.909 3.335 2.805
C -1.675 4.065 3.693
C -1.069 5.141 4.329
C 0.264 5.469 4.086
C 1.034 4.735 3.195
C 0.430 3.665 2.556
C 3.881 1.703 -0.422
C 4.605 2.750 -0.965
C 5.658 2.434 -1.814
C 5.976 1.109 -2.105
C 5.253 0.057 -1.555
C 4.206 0.369 -0.708
N 0.738 -1.968 -0.040
C -3.701 -1.436 0.459
C -4.811 -2.157 -0.035
H -6.913 -2.112 -0.328
H -7.235 0.113 0.663
H -5.308 1.384 1.588
H -1.070 -5.369 1.696
H 0.585 -6.846 2.748
H 2.988 -6.330 2.685
H 3.829 -4.296 1.564
H -2.706 3.796 3.879
H -1.638 5.739 5.029
H 0.707 6.308 4.605
H 2.070 4.981 3.004
H 4.350 3.776 -0.732
H 6.239 3.228 -2.264
H 6.795 0.896 -2.779
H 5.495 -0.973 -1.785
H -4.703 -3.150 -0.462
C 1.883 -0.590 -3.163
O 1.119 0.333 -2.388
C 0.551 1.348 -3.205
C -0.330 2.227 -2.333
O -1.162 1.458 -1.466
C -2.379 0.930 -1.996
C -2.231 -0.455 -2.633
O -1.261 -1.226 -1.912
C -1.568 -2.553 -1.629
H 2.709 -0.075 -3.660
H 1.249 -1.063 -3.919
H 2.279 -1.342 -2.485
H -0.027 0.885 -4.014
H 1.339 1.957 -3.658
H -0.931 2.901 -2.946
-- stop --
The page goes on =
Gaijin Trade is a platform for trading various in-game items between players. Sellers and buyers determine supply and demand, the prices of goods. Goods themselves can even run out.
XM8 | War Thunder Wiki
Search on WT Live. Collections: Game roles. Light tank. Vehicle families. M8 AGS (CCVL) Operator country. USA. Manufacturers. FMC. Vehicles by updates. Update 2.5 "Ixwa Strike" Vehicles by events. Future Technology (2021) Survivability and armour. Armour front / side / back. Hull 25 / 25 / 25 mm
【战争雷霆-开发日志】TCM装甲火炮系统(2021冬季马拉松 “冬 …
AGS (装甲火炮系统)是由TCM(泰莱达因大陆汽车公司)于1981年在美国陆军竞标中展示的一款可进行空降的实验型轻型坦克原型。 这个极具未来感的载具有着远超其他竞标者的激进设计和高新技术方案。 原型车的地盘设计来自于泰莱达因公司。 作为一个拥有高机动能力的履带式平台,该项目使用了前置发动机,无人炮塔等非常规设计。 起初,这款轻型坦克计划安装带有自动装弹机的75毫米火炮,但随着开发工作的进行,能够对付现代苏联坦克的105毫米火炮方案将其取代。 …
Ground Vehicles | War Thunder Wiki
Official Website Store Market WT Live Portal Forum. Author Support Program. ... M8 AGS (CCVL) 4 vehicles. MBT/KPz-70. 4 vehicles. OF-40. 4 vehicles. Rooikat. 4 vehicles. Sd.Kfz. 251. 4 vehicles. Sherman Firefly. 4 vehicles. T-28. 4 vehicles. Type 1 Chi-He. 4 vehicles. Type 61 tank. 4 vehicles. VK.45 (Porsche Tiger)
Winter marathon vehicles: TCM AGS (USA) - War Thunder
2021年12月10日 · The TCM AGS light tank will become the main tank prize in the War Thunder winter marathon, it will become an event vehicle of rank VI in the US armored vehicles tech tree. This is a very versatile and interesting tank that is able to effectively scout enemies, capture points and provide fire support to allies.
AGS - War Thunder Wiki* - WIKIWIKI
2024年1月25日 · アメリカ RankVI 軽戦車 TCM AGS . 概要 . Update 2.13 “Winged Lions”にてOperation W.I.N.T.E.R. - 2022の陸上位報酬として追加されたアメリカ試作軽戦車。1980年代に米陸軍がM551の後継として計画したAGS(Armored Gun System)コンペの提案車両でありXM8とは競作関係にあった。
Nr5a2通过Wnt /β-catenin信号传导促进胃癌AGS细胞的 ... - X-MOL
Results: The results showed that knockdown of Nr5a2 could inhibit cell proliferation via arresting the cell cycle in the G2/M phase and suppress cell mobility through preventing the epithelial-mesenchymal transition (EMT) process in AGS cells. In addition, knockdown of Nr5a2 could suppress tumorigenesis and metastasis of AGS cells in vivo.
AGS(人胃腺癌细胞)公司 | AGS(人胃腺癌细胞) WT细胞系价 …
艾迪基因提供野生型ags细胞经过严格质检,确保代次低、活性高、无污染,适用于各种细胞实验。 艾迪基因拥有大量的WT细胞库存,能够高效、及时地提供高质量的产品。
ags | 战雷涂装中文网-四川嘉裕锦科技
Molecular data that have nothing to do with the article:
'''
# 1
71
Properties=species:S:1:pos:R:3 method="wB97M-V/def2-TZVPD" charge=+1 e_above_lowest_kj_mol=90.2 gap_ev=7.34 homo_ev=-10.44 fmax_ha_per_bohr=0.0727 multiplicity=1
Lu -0.830 0.665 -0.425
C -1.864 2.905 -0.318
C -2.893 1.931 -0.451
C -2.830 1.400 -1.772
C -1.759 2.045 -2.457
C -1.146 2.951 -1.543
C -0.117 3.990 -1.884
C -1.577 2.120 -3.953
C -3.941 0.593 -2.388
C -3.990 1.659 0.543
C -1.681 3.871 0.815
H 0.561 4.165 -1.049
H -0.609 4.937 -2.119
H 0.481 3.698 -2.746
H -0.968 1.326 -4.392
H -1.096 3.061 -4.214
H -2.551 2.104 -4.444
H -3.665 0.167 -3.352
H -4.809 1.236 -2.547
H -4.257 -0.228 -1.741
H -4.253 0.600 0.589
H -4.892 2.209 0.267
H -3.697 1.974 1.543
H -0.625 4.092 0.987
H -2.105 3.487 1.741
H -2.181 4.813 0.579
O 3.136 -5.285 0.925
C 2.997 -4.287 1.910
C 1.912 -3.337 1.495
C 1.304 -2.490 2.412
C 0.344 -1.604 1.968
N -0.054 -1.518 0.696
C 0.485 -2.384 -0.178
C 1.482 -3.280 0.177
C -0.078 -2.383 -1.549
C -0.085 -3.554 -2.291
C -0.644 -3.572 -3.563
C -0.644 -4.857 -4.358
O -0.793 -6.000 -3.544
C -1.185 -2.387 -4.039
C -1.153 -1.266 -3.234
N -0.623 -1.239 -2.008
H 3.813 -5.912 1.194
H 3.926 -3.714 2.027
H 2.740 -4.709 2.887
H 1.577 -2.509 3.459
H -0.141 -0.937 2.666
H 1.933 -3.934 -0.554
H 0.309 -4.473 -1.883
H 0.331 -4.963 -4.837
H -1.398 -4.815 -5.149
H -1.698 -6.058 -3.222
H -1.635 -2.330 -5.021
H -1.578 -0.338 -3.583
O 1.000 1.306 0.272
C 0.505 1.336 1.450
O -0.732 1.069 1.596
C 1.352 1.634 2.612
C 0.786 1.657 3.883
C 1.563 1.891 5.013
C 2.908 2.095 4.810
O 3.868 2.339 5.731
C 5.103 2.449 5.021
O 4.813 2.325 3.632
C 3.476 2.081 3.535
C 2.728 1.852 2.417
H -0.280 1.498 3.976
H 1.135 1.923 6.005
H 5.775 1.646 5.334
H 5.559 3.420 5.219
H 3.153 1.846 1.423

---

# 2
71
Properties=species:S:1:pos:R:3 method="wB97M-V/def2-TZVPD" charge=+1 e_above_lowest_kj_mol=175.4 gap_ev="5.96 / 8.46" homo_ev="-8.42 / -11.06" fmax_ha_per_bohr=0.0448 multiplicity=3
Ti -0.036 -0.487 0.061
O -0.770 -2.675 -1.320
N 0.132 -1.594 -1.538
C 1.095 -1.888 -2.424
C 2.003 -0.961 -2.991
C 2.934 -1.447 -3.938
C 3.781 -0.607 -4.615
C 3.738 0.770 -4.385
C 2.864 1.267 -3.440
C 2.007 0.431 -2.722
P 0.964 1.182 -1.436
C 2.141 2.294 -0.617
C 2.880 1.702 0.407
C 3.838 2.432 1.088
C 4.051 3.763 0.756
C 3.328 4.351 -0.270
C 2.378 3.617 -0.965
C -0.296 2.099 -2.377
C -0.753 3.371 -2.042
C -1.772 3.951 -2.785
C -2.354 3.265 -3.840
C -1.916 1.986 -4.160
C -0.891 1.405 -3.434
H -0.430 -3.454 -1.779
H 1.141 -2.914 -2.786
H 2.964 -2.513 -4.133
H 4.480 -1.010 -5.336
H 4.388 1.438 -4.934
H 2.838 2.331 -3.239
H 2.696 0.665 0.670
H 4.415 1.973 1.879
H 4.781 4.345 1.303
H 3.504 5.386 -0.534
H 1.820 4.078 -1.770
H -0.339 3.889 -1.190
H -2.115 4.948 -2.537
H -3.149 3.722 -4.414
H -2.368 1.447 -4.983
H -0.535 0.412 -3.689
N -2.142 -1.011 0.302
C -2.815 -0.023 1.177
C -2.351 1.379 0.819
C -0.853 1.603 1.099
O -0.362 2.690 0.879
O -0.187 0.563 1.543
H -2.526 -0.961 -0.639
H -2.326 -1.946 0.641
H -2.533 -0.246 2.206
H -3.902 -0.092 1.092
H -2.918 2.132 1.364
H -2.497 1.577 -0.249
'''
2025年3月7日 · 战雷涂装中文网是国内最大的《warthunder》 (战争雷霆)玩家创作研究、交流学习和分享涂装语音包等自定义内容的专业中文社交平台!这里你可以找到最新最好看的涂装,与更多的爱好者交流,与大家一起分享游戏、涂装的乐趣与热爱。